(Material)
~~~
No. 1
{
  "formula": "C4H5BrO2S",
  "method": "ωB97M-V/def2-TZVPD",
  "symbols": ["C", "C", "C", "C", "O", "O", "S", "Br", "H", "H", "H", "H", "H"],
  "positions_angstrom": [[-0.185, -0.380, -0.464], [1.276, 0.060, -0.342], [-0.478, -1.407, -1.290], [-0.301, 1.570, 1.285], [-0.934, 0.459, 0.433], [-1.630, -2.016, -1.283], [1.186, 1.840, 0.256], [0.103, 0.992, 3.157], [1.600, -0.325, 0.638], [2.090, 0.115, -1.121], [0.354, -1.921, -1.828], [-0.927, 2.462, 1.290], [-2.153, -1.450, -0.730]],
  "forces_ev_per_a": [[3.12, 2.16, 0.01], [-0.04, 1.70, 1.81], [2.44, 1.41, 1.52], [1.48, -2.86, -2.98], [-1.23, -0.44, 0.68], [-2.02, -1.26, -0.78], [-0.16, 0.45, -0.02], [-0.48, 0.16, -1.06], [0.60, -0.72, -0.79], [-1.34, -0.71, 0.62], [-0.89, 0.73, 0.40], [-0.21, -0.60, 0.10], [-1.27, 0.00, 0.48]],
  "homo_ev": -8.46,
  "gap_ev": 8.9,
  "smiles": "O/C=C1/CS[C@H](Br)O1",
  "de_lowest_kj_mol": 173.1,
  "total_charge": 0,
  "e_tot_ev": -89198.9669
}


No. 2
{
  "formula": "C4H5CaO5",
  "method": "ωB97M-V/def2-TZVPD",
  "symbols": ["O", "O", "C", "C", "O", "C", "Ca", "H", "H", "H", "H", "H", "O", "C", "O"],
  "positions_angstrom": [[1.364, -0.472, -1.429], [1.124, -2.635, -0.923], [0.709, -1.482, -0.985], [-0.576, -1.133, -0.230], [-0.891, 0.236, -0.411], [-1.951, 0.711, 0.408], [0.516, 1.391, -1.671], [-0.417, -1.342, 0.840], [-1.400, -1.767, -0.591], [-1.843, 1.797, 0.488], [-2.920, 0.462, -0.048], [-1.888, 0.259, 1.409], [1.862, 1.810, 0.439], [2.742, 1.272, 0.995], [3.568, 0.891, 1.709]],
  "forces_ev_per_a": [[0.21, -0.54, -0.39], [-0.90, 0.74, -0.30], [1.41, -1.26, 1.19], [-0.43, -0.92, -0.11], [-0.36, 0.05, 0.47], [-0.38, 0.00, 0.15], [0.11, 1.75, -0.85], [0.00, 0.03, -0.28], [0.16, 0.15, 0.14], [-0.12, -0.20, -0.03], [0.22, 0.07, 0.17], [0.01, 0.15, -0.24], [0.38, -0.54, -0.31], [0.01, 0.77, 1.34], [-0.33, -0.26, -0.96]],
  "homo_ev": [-4.64, -9.67],
  "gap_ev": [4.6, 9.5],
  "de_lowest_kj_mol": 0.0,
  "multiplicity": 2,
  "total_charge": 0,
  "e_tot_ev": -32905.5379
}


No. 3
{
  "formula": "C4H5CdO2",
  "method": "ωB97M-V/def2-TZVPD",
  "symbols": ["O", "C", "Cd", "H", "O", "C", "C", "C", "H", "H", "H", "H"],
  "positions_angstrom": [[1.806, -0.226, 0.356], [0.595, -0.031, 0.322], [3.523, 0.255, -0.252], [-0.258, 0.234, -0.675], [-3.012, -3.393, 0.662], [-2.465, -2.176, 1.114], [-1.124, -2.000, 0.460], [-0.515, -0.813, 0.373], [-3.924, -3.248, 0.393], [-2.308, -2.195, 2.208], [-3.119, -1.320, 0.884], [-0.606, -2.898, 0.107]],
  "forces_ev_per_a": [[1.82, -0.70, 1.30], [-9.59, -2.83, -2.98], [2.37, 0.98, -0.71], [1.67, 0.93, 0.69], [0.24, 0.42, 0.27], [-0.33, -0.64, -1.13], [-2.20, -0.75, 1.04], [5.93, 2.51, 1.50], [-0.15, -0.17, 0.04], [0.16, 0.11, -0.01], [0.23, -0.06, 0.21], [-0.14, 0.19, -0.21]],
  "homo_ev": [-17.04, -17.10],
  "gap_ev": [4.4, 4.4],
  "de_lowest_kj_mol": 319.7,
  "multiplicity": 2,
  "total_charge": 2,
  "e_tot_ev": -12860.8352
}


No. 4
{
  "formula": "C4H5Cl",
  "method": "ωB97M-V/def2-TZVPD",
  "symbols": ["C", "C", "C", "C", "H", "H", "H", "H", "H", "Cl"],
  "positions_angstrom": [[-0.096, -0.123, -0.578], [-0.226, -0.827, -1.742], [0.621, 0.982, -0.022], [0.064, 2.441, -0.023], [-0.422, -1.869, -1.905], [0.349, -0.584, -2.722], [1.638, 0.557, 0.475], [-0.818, 2.538, -0.807], [0.747, 3.285, 0.324], [-0.216, -1.104, 1.107]],
  "forces_ev_per_a": [[0.21, -3.56, -0.29], [2.46, 1.52, -0.13], [0.13, 6.71, 0.26], [2.43, -5.95, -1.99], [-0.92, -0.34, 1.13], [-1.34, 0.96, 1.81], [-2.54, 1.80, -0.97], [1.81, 0.16, 2.20], [-1.37, -1.31, -0.44], [-0.86, 0.02, -1.59]],
  "homo_ev": -9.09,
  "gap_ev": 8.9,
  "smiles": "C=CC(=C)Cl",
  "de_lowest_kj_mol": 293.1,
  "total_charge": 0,
  "e_tot_ev": -16747.0856
}


No. 5
{
  "formula": "C4H5Cl",
  "method": "ωB97M-V/def2-TZVPD",
  "symbols": ["C", "C", "C", "C", "Cl", "H", "H", "H", "H", "H"],
~~~
(Brief)
Restate the whole of the rows further up without additions.
(Done)
No. 1
{
  "formula": "C4H5BrO2S",
  "method": "ωB97M-V/def2-TZVPD",
  "symbols": ["C", "C", "C", "C", "O", "O", "S", "Br", "H", "H", "H", "H", "H"],
  "positions_angstrom": [[-0.185, -0.380, -0.464], [1.276, 0.060, -0.342], [-0.478, -1.407, -1.290], [-0.301, 1.570, 1.285], [-0.934, 0.459, 0.433], [-1.630, -2.016, -1.283], [1.186, 1.840, 0.256], [0.103, 0.992, 3.157], [1.600, -0.325, 0.638], [2.090, 0.115, -1.121], [0.354, -1.921, -1.828], [-0.927, 2.462, 1.290], [-2.153, -1.450, -0.730]],
  "forces_ev_per_a": [[3.12, 2.16, 0.01], [-0.04, 1.70, 1.81], [2.44, 1.41, 1.52], [1.48, -2.86, -2.98], [-1.23, -0.44, 0.68], [-2.02, -1.26, -0.78], [-0.16, 0.45, -0.02], [-0.48, 0.16, -1.06], [0.60, -0.72, -0.79], [-1.34, -0.71, 0.62], [-0.89, 0.73, 0.40], [-0.21, -0.60, 0.10], [-1.27, 0.00, 0.48]],
  "homo_ev": -8.46,
  "gap_ev": 8.9,
  "smiles": "O/C=C1/CS[C@H](Br)O1",
  "de_lowest_kj_mol": 173.1,
  "total_charge": 0,
  "e_tot_ev": -89198.9669
}


No. 2
{
  "formula": "C4H5CaO5",
  "method": "ωB97M-V/def2-TZVPD",
  "symbols": ["O", "O", "C", "C", "O", "C", "Ca", "H", "H", "H", "H", "H", "O", "C", "O"],
  "positions_angstrom": [[1.364, -0.472, -1.429], [1.124, -2.635, -0.923], [0.709, -1.482, -0.985], [-0.576, -1.133, -0.230], [-0.891, 0.236, -0.411], [-1.951, 0.711, 0.408], [0.516, 1.391, -1.671], [-0.417, -1.342, 0.840], [-1.400, -1.767, -0.591], [-1.843, 1.797, 0.488], [-2.920, 0.462, -0.048], [-1.888, 0.259, 1.409], [1.862, 1.810, 0.439], [2.742, 1.272, 0.995], [3.568, 0.891, 1.709]],
  "forces_ev_per_a": [[0.21, -0.54, -0.39], [-0.90, 0.74, -0.30], [1.41, -1.26, 1.19], [-0.43, -0.92, -0.11], [-0.36, 0.05, 0.47], [-0.38, 0.00, 0.15], [0.11, 1.75, -0.85], [0.00, 0.03, -0.28], [0.16, 0.15, 0.14], [-0.12, -0.20, -0.03], [0.22, 0.07, 0.17], [0.01, 0.15, -0.24], [0.38, -0.54, -0.31], [0.01, 0.77, 1.34], [-0.33, -0.26, -0.96]],
  "homo_ev": [-4.64, -9.67],
  "gap_ev": [4.6, 9.5],
  "de_lowest_kj_mol": 0.0,
  "multiplicity": 2,
  "total_charge": 0,
  "e_tot_ev": -32905.5379
}


No. 3
{
  "formula": "C4H5CdO2",
  "method": "ωB97M-V/def2-TZVPD",
  "symbols": ["O", "C", "Cd", "H", "O", "C", "C", "C", "H", "H", "H", "H"],
  "positions_angstrom": [[1.806, -0.226, 0.356], [0.595, -0.031, 0.322], [3.523, 0.255, -0.252], [-0.258, 0.234, -0.675], [-3.012, -3.393, 0.662], [-2.465, -2.176, 1.114], [-1.124, -2.000, 0.460], [-0.515, -0.813, 0.373], [-3.924, -3.248, 0.393], [-2.308, -2.195, 2.208], [-3.119, -1.320, 0.884], [-0.606, -2.898, 0.107]],
  "forces_ev_per_a": [[1.82, -0.70, 1.30], [-9.59, -2.83, -2.98], [2.37, 0.98, -0.71], [1.67, 0.93, 0.69], [0.24, 0.42, 0.27], [-0.33, -0.64, -1.13], [-2.20, -0.75, 1.04], [5.93, 2.51, 1.50], [-0.15, -0.17, 0.04], [0.16, 0.11, -0.01], [0.23, -0.06, 0.21], [-0.14, 0.19, -0.21]],
  "homo_ev": [-17.04, -17.10],
  "gap_ev": [4.4, 4.4],
  "de_lowest_kj_mol": 319.7,
  "multiplicity": 2,
  "total_charge": 2,
  "e_tot_ev": -12860.8352
}


No. 4
{
  "formula": "C4H5Cl",
  "method": "ωB97M-V/def2-TZVPD",
  "symbols": ["C", "C", "C", "C", "H", "H", "H", "H", "H", "Cl"],
  "positions_angstrom": [[-0.096, -0.123, -0.578], [-0.226, -0.827, -1.742], [0.621, 0.982, -0.022], [0.064, 2.441, -0.023], [-0.422, -1.869, -1.905], [0.349, -0.584, -2.722], [1.638, 0.557, 0.475], [-0.818, 2.538, -0.807], [0.747, 3.285, 0.324], [-0.216, -1.104, 1.107]],
  "forces_ev_per_a": [[0.21, -3.56, -0.29], [2.46, 1.52, -0.13], [0.13, 6.71, 0.26], [2.43, -5.95, -1.99], [-0.92, -0.34, 1.13], [-1.34, 0.96, 1.81], [-2.54, 1.80, -0.97], [1.81, 0.16, 2.20], [-1.37, -1.31, -0.44], [-0.86, 0.02, -1.59]],
  "homo_ev": -9.09,
  "gap_ev": 8.9,
  "smiles": "C=CC(=C)Cl",
  "de_lowest_kj_mol": 293.1,
  "total_charge": 0,
  "e_tot_ev": -16747.0856
}


No. 5
{
  "formula": "C4H5Cl",
  "method": "ωB97M-V/def2-TZVPD",
  "symbols": ["C", "C", "C", "C", "Cl", "H", "H", "H", "H", "H"],